Excerpt:
<<<
1.
Density functional theory data (ωB97M-V/def2-TZVPD) for the molecule C19H27N3O4S2.

```
! RIJCOSX wB97M-V def2-TZVPD def2/J DEFGRID3
* xyz 0 1
S -4.480 1.845 0.848
S 3.603 -1.918 1.381
O 2.956 -2.416 2.562
O 2.547 4.180 0.035
O 4.144 3.096 -1.115
O 5.014 -2.097 1.218
N -1.803 -0.934 -1.687
N 2.108 1.706 1.520
N 2.879 -2.541 0.016
C -0.473 -0.380 -1.828
C 3.023 1.901 0.516
C 2.206 0.438 1.951
C 0.529 -0.942 -0.812
C 3.190 -0.208 1.230
C -4.835 0.272 0.201
C 1.191 2.689 2.027
C 3.184 3.174 -0.180
C 4.388 4.288 -1.847
C 3.710 0.713 0.319
C -5.728 1.687 2.023
C -4.041 -0.275 -0.932
C -0.804 -3.050 -0.804
C -1.765 -2.379 -1.798
C -6.372 0.500 1.922
C 0.602 -2.464 -0.940
C -2.559 -0.442 -0.552
C -5.857 -0.309 0.882
C 1.538 -3.068 0.116
H -2.775 -2.767 -1.659
H 3.486 4.600 -2.378
H -0.536 0.707 -1.740
H -0.787 -4.126 -0.989
H 0.602 2.249 2.828
H 0.209 -0.679 0.199
H 4.694 5.092 -1.175
H -1.160 -2.894 0.217
H 0.995 -2.709 -1.933
H -7.184 0.204 2.562
H -4.461 -1.239 -1.225
H 1.514 -0.508 -0.980
H 1.600 0.046 2.744
H 1.187 -2.810 1.118
H -6.241 -1.286 0.647
H 5.184 4.054 -2.549
H -0.129 -0.617 -2.840
H 4.494 0.540 -0.388
H -5.902 2.489 2.713
H 0.529 3.036 1.232
H 1.734 3.556 2.404
H -2.491 -1.099 0.328
H 1.533 -4.161 0.029
H -4.095 0.393 -1.795
H 3.523 -3.056 -0.558
H -2.172 0.538 -0.266
H -1.449 -2.618 -2.818
*
```

Its HOMO-LUMO gap is 8.9 eV. As for the HOMO energy: -0.3072 Eh. The value obtained for the total energy is -54471.718 eV. As for the SMILES: COC(=O)c1cc(S(=O)(=O)NCC2CCN(CCc3cccs3)CC2)cn1C. The value obtained for the energy above the lowest of the compared OMol25 structures with the same formula, charge and spin is 27.0 kcal per mole.

Atomic partial charges in e from the Löwdin method, atoms 1 to 2:
1 S 1.0193
2 S 0.6464

=====

2.
Density functional theory data (ωB97M-V/def2-TZVPD) for a 8-piece molecular cluster, C27H73N3O8 overall in a non-equilibrium geometry.

```
! RIJCOSX wB97M-V def2-TZVPD def2/J DEFGRID3
* xyz 0 1
O 13.152 8.760 8.931
O 16.878 12.684 8.909
O 11.134 9.151 11.617
O 13.396 12.723 10.081
O 13.602 13.657 13.172
O 9.282 15.827 13.697
O 10.234 10.152 7.297
O 15.893 10.106 12.849
N 12.701 6.861 10.943
N 11.639 15.797 15.514
N 17.742 11.157 14.912
C 15.640 10.320 11.465
C 13.710 10.117 7.157
C 17.957 14.800 8.386
C 16.300 9.218 15.393
C 11.741 13.388 15.303
C 13.973 14.935 9.520
C 12.833 14.046 9.951
C 17.464 9.760 14.541
C 10.058 16.537 11.640
C 12.402 8.820 12.279
C 8.437 10.390 9.034
C 17.796 13.634 9.377
C 17.165 9.562 13.074
C 11.266 10.501 11.273
C 9.231 14.230 11.853
C 12.556 7.306 12.324
C 14.290 9.171 8.244
C 15.134 8.011 7.696
C 12.419 14.688 15.032
C 11.757 13.848 8.862
C 19.158 13.014 9.789
C 14.864 13.540 13.773
C 12.816 14.765 13.577
C 8.826 9.902 7.583
C 8.659 8.414 7.475
C 13.818 6.862 13.011
C 9.072 15.652 12.297
H 13.068 9.511 6.531
H 15.503 9.923 15.606
H 14.853 9.843 8.911
H 9.792 16.503 10.572
H 7.382 10.312 9.221
H 12.991 5.915 10.744
H 17.150 8.512 12.712
H 11.810 13.201 16.403
H 10.011 17.557 12.042
H 16.643 8.786 16.348
H 14.530 7.482 6.909
H 13.406 15.662 13.421
H 8.424 13.599 12.252
H 13.968 7.534 13.944
H 14.680 7.131 12.477
H 9.019 9.779 9.760
H 11.104 16.273 11.680
H 8.808 11.416 9.216
H 11.577 11.081 12.108
H 13.219 9.142 11.601
H 17.278 14.132 10.218
H 17.912 10.128 12.461
H 8.747 15.210 14.177
H 18.395 14.598 7.421
H 15.857 8.332 14.989
H 16.485 10.819 10.963
H 19.031 12.099 10.434
H 13.135 10.862 7.686
H 19.467 12.573 8.863
H 12.387 9.358 13.239
H 11.234 14.734 8.676
H 11.875 7.023 10.391
H 18.717 15.400 8.923
H 12.004 14.752 12.819
H 9.242 7.826 8.220
H 9.294 14.276 10.776
H 13.395 14.730 15.501
H 10.756 9.494 7.742
H 8.035 16.045 12.109
H 13.381 8.031 9.506
H 8.858 8.085 6.497
H 8.225 10.401 6.819
H 15.335 7.396 8.545
H 16.829 11.543 15.124
H 16.980 15.276 8.293
H 12.250 12.607 14.752
H 13.664 15.971 9.396
H 14.848 11.058 11.339
H 10.903 15.997 14.841
H 15.277 12.593 13.460
H 11.754 6.832 12.875
H 12.277 16.585 15.664
H 15.460 14.355 13.443
H 12.058 10.649 10.462
>>>

Request:
Your job: restate everything further up with every line break kept.

Response:
1.
Density functional theory data (ωB97M-V/def2-TZVPD) for the molecule C19H27N3O4S2.

```
! RIJCOSX wB97M-V def2-TZVPD def2/J DEFGRID3
* xyz 0 1
S -4.480 1.845 0.848
S 3.603 -1.918 1.381
O 2.956 -2.416 2.562
O 2.547 4.180 0.035
O 4.144 3.096 -1.115
O 5.014 -2.097 1.218
N -1.803 -0.934 -1.687
N 2.108 1.706 1.520
N 2.879 -2.541 0.016
C -0.473 -0.380 -1.828
C 3.023 1.901 0.516
C 2.206 0.438 1.951
C 0.529 -0.942 -0.812
C 3.190 -0.208 1.230
C -4.835 0.272 0.201
C 1.191 2.689 2.027
C 3.184 3.174 -0.180
C 4.388 4.288 -1.847
C 3.710 0.713 0.319
C -5.728 1.687 2.023
C -4.041 -0.275 -0.932
C -0.804 -3.050 -0.804
C -1.765 -2.379 -1.798
C -6.372 0.500 1.922
C 0.602 -2.464 -0.940
C -2.559 -0.442 -0.552
C -5.857 -0.309 0.882
C 1.538 -3.068 0.116
H -2.775 -2.767 -1.659
H 3.486 4.600 -2.378
H -0.536 0.707 -1.740
H -0.787 -4.126 -0.989
H 0.602 2.249 2.828
H 0.209 -0.679 0.199
H 4.694 5.092 -1.175
H -1.160 -2.894 0.217
H 0.995 -2.709 -1.933
H -7.184 0.204 2.562
H -4.461 -1.239 -1.225
H 1.514 -0.508 -0.980
H 1.600 0.046 2.744
H 1.187 -2.810 1.118
H -6.241 -1.286 0.647
H 5.184 4.054 -2.549
H -0.129 -0.617 -2.840
H 4.494 0.540 -0.388
H -5.902 2.489 2.713
H 0.529 3.036 1.232
H 1.734 3.556 2.404
H -2.491 -1.099 0.328
H 1.533 -4.161 0.029
H -4.095 0.393 -1.795
H 3.523 -3.056 -0.558
H -2.172 0.538 -0.266
H -1.449 -2.618 -2.818
*
```

Its HOMO-LUMO gap is 8.9 eV. As for the HOMO energy: -0.3072 Eh. The value obtained for the total energy is -54471.718 eV. As for the SMILES: COC(=O)c1cc(S(=O)(=O)NCC2CCN(CCc3cccs3)CC2)cn1C. The value obtained for the energy above the lowest of the compared OMol25 structures with the same formula, charge and spin is 27.0 kcal per mole.

Atomic partial charges in e from the Löwdin method, atoms 1 to 2:
1 S 1.0193
2 S 0.6464

=====

2.
Density functional theory data (ωB97M-V/def2-TZVPD) for a 8-piece molecular cluster, C27H73N3O8 overall in a non-equilibrium geometry.

```
! RIJCOSX wB97M-V def2-TZVPD def2/J DEFGRID3
* xyz 0 1
O 13.152 8.760 8.931
O 16.878 12.684 8.909
O 11.134 9.151 11.617
O 13.396 12.723 10.081
O 13.602 13.657 13.172
O 9.282 15.827 13.697
O 10.234 10.152 7.297
O 15.893 10.106 12.849
N 12.701 6.861 10.943
N 11.639 15.797 15.514
N 17.742 11.157 14.912
C 15.640 10.320 11.465
C 13.710 10.117 7.157
C 17.957 14.800 8.386
C 16.300 9.218 15.393
C 11.741 13.388 15.303
C 13.973 14.935 9.520
C 12.833 14.046 9.951
C 17.464 9.760 14.541
C 10.058 16.537 11.640
C 12.402 8.820 12.279
C 8.437 10.390 9.034
C 17.796 13.634 9.377
C 17.165 9.562 13.074
C 11.266 10.501 11.273
C 9.231 14.230 11.853
C 12.556 7.306 12.324
C 14.290 9.171 8.244
C 15.134 8.011 7.696
C 12.419 14.688 15.032
C 11.757 13.848 8.862
C 19.158 13.014 9.789
C 14.864 13.540 13.773
C 12.816 14.765 13.577
C 8.826 9.902 7.583
C 8.659 8.414 7.475
C 13.818 6.862 13.011
C 9.072 15.652 12.297
H 13.068 9.511 6.531
H 15.503 9.923 15.606
H 14.853 9.843 8.911
H 9.792 16.503 10.572
H 7.382 10.312 9.221
H 12.991 5.915 10.744
H 17.150 8.512 12.712
H 11.810 13.201 16.403
H 10.011 17.557 12.042
H 16.643 8.786 16.348
H 14.530 7.482 6.909
H 13.406 15.662 13.421
H 8.424 13.599 12.252
H 13.968 7.534 13.944
H 14.680 7.131 12.477
H 9.019 9.779 9.760
H 11.104 16.273 11.680
H 8.808 11.416 9.216
H 11.577 11.081 12.108
H 13.219 9.142 11.601
H 17.278 14.132 10.218
H 17.912 10.128 12.461
H 8.747 15.210 14.177
H 18.395 14.598 7.421
H 15.857 8.332 14.989
H 16.485 10.819 10.963
H 19.031 12.099 10.434
H 13.135 10.862 7.686
H 19.467 12.573 8.863
H 12.387 9.358 13.239
H 11.234 14.734 8.676
H 11.875 7.023 10.391
H 18.717 15.400 8.923
H 12.004 14.752 12.819
H 9.242 7.826 8.220
H 9.294 14.276 10.776
H 13.395 14.730 15.501
H 10.756 9.494 7.742
H 8.035 16.045 12.109
H 13.381 8.031 9.506
H 8.858 8.085 6.497
H 8.225 10.401 6.819
H 15.335 7.396 8.545
H 16.829 11.543 15.124
H 16.980 15.276 8.293
H 12.250 12.607 14.752
H 13.664 15.971 9.396
H 14.848 11.058 11.339
H 10.903 15.997 14.841
H 15.277 12.593 13.460
H 11.754 6.832 12.875
H 12.277 16.585 15.664
H 15.460 14.355 13.443
H 12.058 10.649 10.462